
We Get The Country We Deserve

Many times in my life I've heard this phrase."We get the country we deserve". Living here in California you are subjected to this reality on a daily basis. You see in this state everywhere you turn there is a new law or regulation to control your behavior. Maybe you own a home and want to put up an awning in the backyard, you're gonna need a permit for it. If you run a business, you had better be very careful about the height of your paper towels because if it's too high you'll be sued out of existence by people who make it their job exploiting the ADA (Americans with Disability Act).
We here in California have been dealing with this over-litigious new world for a long time now. So long in fact that we are only slightly surprised when a man walks into the ocean in a suicidal mood, and because of some policy inside the Alameda Fire Department, everyone stands around and watches him stand out there, in the water. They stand for hours watching him stand in the water up to his neck. They stand there as he slips into unconsciousness. They stand there while he begins to float face down, dead and or dying. They also stand there, the police and fire department, watching as a 20 year old nurse wades into the water and pulls him back to shore.
So here we are America, with the country we have "asked" for. Lawyers and bureaucrats run our lives, and tell us what to do and how to do it. In the case of the firefighters, the reason they give for not going into the water, they were not certified in water rescue training because it wasn't in the budget. I want to believe that they would never just let someone drown to prove a political point. I also know, that the left will stop at nothing to "creatively" nudge you. I don't put it past them to at least look the other way from a tragedy in order to secure the funding they so desire.
The only answer to this problem is smaller government. We must slowly start to peel back the layers of bureaucracy. We must stay involved and stay informed. And most of all we must show our friends and neighbors stories like this. Highlighting the negative effects of a simple axiom... a government large enough to give you everything you need, is also large enough to take away everything you have.  
### Crystal structures, as found in the file
This entry pairs a crystal structure of Tm6Rh5 with its simulated powder XRD pattern. Radiation: Cu Kα (λ = 1.5418 Å). Structure: a cell relaxed with PBE.
Lines closer than 0.1° are merged.

Principal peaks in the range 10 to 90 degrees two-theta, by intensity:
hkl	2theta	I_rel
2 2 1	37.9	100
6 0 0	37.6	25
2 0 -2	37.7	25
8 2 1	68.0	18
0 2 3	68.2	18
4 0 2	54.3	18

Structure:
```
data_Tm6Rh5
_chemical_formula_sum 'Tm12 Rh10'
_symmetry_space_group_name_H-M 'C 1 2/m 1'
_symmetry_Int_Tables_number 12
_symmetry_space_group_name_Hall '-C 2y'
_cell_length_a 15.134
_cell_length_b 6.686
_cell_length_c 4.771
_cell_angle_alpha 90.00
_cell_angle_beta 108.29
_cell_angle_gamma 90.00
loop_
_atom_site_label
_atom_site_fract_x
_atom_site_fract_y
_atom_site_fract_z
Tm1 0.000 0.249 0.000
Tm2 0.166 0.248 0.666
Rh1 0.000 0.500 0.500
Rh2 0.165 0.500 0.164
Rh3 0.170 0.000 0.170
```



This entry pairs a crystal structure of Tm7Rh3 with its simulated powder XRD pattern. Radiation: Cu Kα (λ = 1.5418 Å). Structure: a cell relaxed with PBE.
Lines closer than 0.1° are merged.

Principal peaks in the range 10 to 90 degrees two-theta, by intensity:
hkl	2theta	I_rel
2 1 1	31.9	100
3 0 1	35.4	54
1 0 2	31.3	44
2 0 2	36.5	40
2 2 0	37.3	32
3 0 3	56.1	23

Structure:
```
data_Tm7Rh3
_chemical_formula_sum 'Tm14 Rh6'
_symmetry_space_group_name_H-M 'P 63 m c'
_symmetry_Int_Tables_number 186
_symmetry_space_group_name_Hall 'P 6c -2c'
_cell_length_a 9.6527
_cell_length_b 9.6527
_cell_length_c 6.0888
_cell_angle_alpha 90.00
_cell_angle_beta 90.00
_cell_angle_gamma 120.00
loop_
_atom_site_label
_atom_site_fract_x
_atom_site_fract_y
_atom_site_fract_z
Tm1 0.0827 0.5414 0.0000
Tm2 0.1235 0.2471 0.6961
Tm3 0.3333 0.6667 0.4928
Rh1 0.1900 0.3800 0.2667
```



This entry pairs a crystal structure of Tm3Rh2 with its simulated powder XRD pattern. Radiation: Cu Kα (λ = 1.5418 Å). Structure: a cell relaxed with PBE.
Lines closer than 0.1° are merged.

Principal peaks in the range 10 to 90 degrees two-theta, by intensity:
hkl	2theta	I_rel
1 1 2	37.5	100
3 1 0	38.2	95
2 0 1	26.5	61
2 0 -2	37.2	51
4 0 2	54.6	51
0 2 0	38.5	46

Structure:
```
data_Tm3Rh2
_chemical_formula_sum 'Tm6 Rh4'
_symmetry_space_group_name_H-M 'C 1 2/m 1'
_symmetry_Int_Tables_number 12
_symmetry_space_group_name_Hall '-C 2y'
_cell_length_a 8.182
_cell_length_b 4.674
_cell_length_c 5.959
_cell_angle_alpha 90.00
_cell_angle_beta 90.33
_cell_angle_gamma 90.00
loop_
_atom_site_label
_atom_site_fract_x
_atom_site_fract_y

/*
Record 1
This entry pairs a crystal structure of U2Si5Tc3 with its computed powder diffraction line list. Radiation: Cu Kα X-rays. Structure: the PBE geometry in OQMD.

Structure:
```
data_U2Si5Tc3
_chemical_formula_sum 'U8 Si20 Tc12'
_space_group_name_H-M_alt 'P 1'
_space_group_IT_number 1
_cell_length_a 10.9260
_cell_length_b 10.9260
_cell_length_c 5.4795
_cell_angle_alpha 90.00
_cell_angle_beta 90.00
_cell_angle_gamma 90.00
loop_
_space_group_symop_operation_xyz
'x,y,z'
loop_
_atom_site_label
_atom_site_fract_x
_atom_site_fract_y
_atom_site_fract_z
_atom_site_occupancy
U1 0.0745 0.2351 0.0000 1
U2 0.2351 0.9255 0.0000 1
U3 0.2649 0.4255 0.5000 1
U4 0.4255 0.7351 0.5000 1
U5 0.5745 0.2649 0.5000 1
U6 0.7351 0.5745 0.5000 1
U7 0.7649 0.0745 0.0000 1
U8 0.9255 0.7649 0.0000 1
Si1 0.0000 0.0000 0.2330 1
Si2 0.0000 0.0000 0.7670 1
Si3 0.0258 0.3157 0.5000 1
Si4 0.1732 0.6732 0.2500 1
Si5 0.1732 0.6732 0.7500 1
Si6 0.1843 0.4742 0.0000 1
Si7 0.3157 0.9742 0.5000 1
Si8 0.3268 0.1732 0.2500 1
Si9 0.3268 0.1732 0.7500 1
Si10 0.4742 0.8157 0.0000 1
Si11 0.5000 0.5000 0.2670 1
Si12 0.5000 0.5000 0.7330 1
Si13 0.5258 0.1843 0.0000 1
Si14 0.6732 0.8268 0.2500 1
Si15 0.6732 0.8268 0.7500 1
Si16 0.6843 0.0258 0.5000 1
Si17 0.8157 0.5258 0.0000 1
Si18 0.8268 0.3268 0.2500 1
Si19 0.8268 0.3268 0.7500 1
Si20 0.9742 0.6843 0.5000 1
Tc1 0.0000 0.5000 0.2500 1
Tc2 0.0000 0.5000 0.7500 1
Tc3 0.1237 0.8576 0.5000 1
Tc4 0.1424 0.1237 0.5000 1
Tc5 0.3576 0.6237 0.0000 1
Tc6 0.3763 0.3576 0.0000 1
Tc7 0.5000 0.0000 0.2500 1
Tc8 0.5000 0.0000 0.7500 1
Tc9 0.6237 0.6424 0.0000 1
Tc10 0.6424 0.3763 0.0000 1
Tc11 0.8576 0.8763 0.5000 1
Tc12 0.8763 0.1424 0.5000 1
```

Peak list (6 most intense, 15° ≤ 2θ ≤ 90°, in order of rising 2θ)
2θ 18.14, I = 30
2θ 30.59, I = 100
2θ 33.82, I = 33
2θ 36.76, I = 42
2θ 37.69, I = 77
2θ 40.37, I = 56



Record 2
This entry pairs a crystal structure of ThSi with its computed powder diffraction line list. Radiation: Cu Kα X-rays. Structure: the PBE geometry in OQMD.

Structure:
```
data_ThSi
_chemical_formula_sum 'Th1 Si1'
_space_group_name_H-M_alt 'P 1'
_space_group_IT_number 1
_cell_length_a 4.2853
_cell_length_b 4.2853
_cell_length_c 4.2853
_cell_angle_alpha 58.57
_cell_angle_beta 58.57
_cell_angle_gamma 58.57
loop_
_space_group_symop_operation_xyz
'x,y,z'
loop_
_atom_site_label
_atom_site_fract_x
_atom_site_fract_y
_atom_site_fract_z
_atom_site_occupancy
Th1 0.0000 0.0000 0.0000 1
Si1 0.5000 0.5000 0.5000 1
```

Peak list (6 most intense, 15° ≤ 2θ ≤ 90°, in order of rising 2θ)
2θ 25.18, I = 30
2θ 25.94, I = 83
2θ 29.82, I = 100
2θ 42.20, I = 39
2θ 43.16, I = 37
2θ 50.62, I = 29



Record 3
This entry pairs a crystal structure of Si6W with its computed powder diffraction line list. Radiation: Cu Kα X-rays. Structure: the PBE geometry in OQMD.

Structure:
```
data_Si6W
_chemical_formula_sum 'Si6 W1'
_space_group_name_H-M_alt 'P 1'
_space_group_IT_number 1
_cell_length_a 5.8930
_cell_length_b 5.8930
_cell_length_c 5.8930
*/

  1. Agreed. When you have full-time legislators, you have full-time legislation. You have day after day of ambitious career politicians trying to make a name for themselves by creating new laws and regulations years upon years. Governments never enable. They only restrict. What is needed is a moritorium on new legislation while we roll back the legal detritous from dreamers trying to legislate Utopia. My God where do we begin to put this unwieldy govt machine on a meager budget? I honestly don't know how or where to start. No one with radically conservative ideals it seems is electable. Where is the movement? What is it's name?

  2. I couldn't agree more, we do need that movement more now than we have in 200 years. I want to believe that is what the tea party represents... we have to keep attending meetings and represent ourselves and change it from within... thanks for your comment!!!
